Prior to the recent turbulence in the financial markets, insurers and reinsurers were increasing their use of enterprise risk management (ERM) to make risk and capital management decisions. While this was driven in part by rating agencies and regulators, many carriers began to recognize the value of metric-based frameworks and capital models in evaluating their portfolios.
As the financial crisis continues to unfold -- and explanations are offered -- it is clear that more robust enterprise-wide risk management will be the result. Many industry participants and observers anticipate that regulatory and rating agency scrutiny will accelerate at an unprecedented rate. Further, insurer and reinsurer shareholders and Boards of Directors are likely to demand that risk be measured and managed as it relates directly to capital on an enterprise-wide basis, particularly as an integral part of the corporate governance process.
Advancing the ERM dialogue can help insurers make value-accretive decisions through the improved deployment of capital. A thorough understanding of the basic concepts of enterprise-wide risk is fundamental to the implementation of ERM disciplines, establishing risk management parameters, and integrating this knowledge into the process of making strategic business decisions. As a result, insurance and reinsurance firms will not only be better prepared to respond to the internal and external questions relating to risk and capital, but (perhaps more importantly), they could benefit by establishing hedging or reinsurance strategies to drive capital efficiencies and maximize stable risk-adjusted returns. We will address three core aspects of the emerging ERM and capital management dialogue:
- We will offer a framework for defining common terminology: distinguishing Risk Profile, Risk Appetite, and Risk Tolerance. Currently there are no consistent, overarching definitions of commonly used risk terms. Greater clarity in this area is fundamental to a proper understanding of the concepts involved.
- We will offer a framework for discussing risk tolerance, including best practices.
- We will present the results of Guy Carpenter's initial risk tolerance benchmarking study, which will allow us to advise our clients about their own circumstances and the general context of the markets in which they operate.
Risk Profile, Risk Appetite, and Risk Tolerance
The definitions and use of Risk Profile, Risk Appetite, and Risk Tolerance vary considerably in professional articles and position papers across the (re)insurance industry. To properly consider the dynamic tradeoff between risk and return we provide the following definitions.
Risk Profile: the broad parameters a firm considers in executing its business strategy in its chosen market space.
Risk Appetite: the level of uncertainty a company is willing to assume given the corresponding reward associated with the risk. A company with a high risk appetite would be a company accepting more uncertainty for a higher reward, while a company with a low risk appetite would seek less uncertainty, for which it would accept a lower return.
Risk Tolerance: a stated amount of risk a company is willing and able to keep in executing its business strategy -- in other words, the limits of a company's capacity for taking on risk. Example RT Co. is a large, reasonably well-capitalized national multi-line writer with profit and growth goals typical of those of similar insurers. Using the definitions above, RT Co.'s Risk Profile can be thought of in terms of the market space in which it wants to participate (e.g., lines and classes of business) and the corresponding management decisions (i.e., risk selection, claims handling processes/back office, distribution channels, expense structure, and strategic execution). Alternatively, part of RT Co.'s Risk Profile is the market space in which it does not want to participate, such as aggressive asset strategies or international expansion.
Consistent with its Risk Profile, RT Co. evaluates how much profit potential is available and the cost of mitigating uncertainty to develop its Risk Appetite. For example, after analysis, a "moderate" Risk Appetite maybe defined by RT Co. as:
- A target return on equity of 10 percent
- Retention of net catastrophic risk less than or equal to its peers
- Avoidance of excessive underwriting volatility, asset risk, or operational risk
Given the risk appetite of RT Co., it establishes a set of Risk Tolerances to properly articulate its capacity for assuming risks. For example, RT Co., may express its risk tolerances as follows:
- High probability of maintaining an A rating
- Quarterly impact from non-catastrophe underwriting results not greater than 10 percent of forecasted earnings
- Net 1:100 probable maximum loss (PML) limited to 10 percent of capital
- Net 1:250 PML limited to 15 percent of capital
- Remote chance of asset loss greater than 10 percent of capital in any one year
To further clarify the concept of Risk Appetite, the following chart shows the basic tradeoff between risk and reward, where the willingness to bear risk increases the potential profit while increasing the possibility of a decrease in surplus (capital).
Best Practices in Using Risk Tolerance to Manage Risk
Because risk appetite and enterprise level risk tolerance statements are fundamental to a company, senior management and the board of directors should be active participants in the identification and consideration of risk/reward tradeoffs as they establish the Risk Profile, Risk Appetite, and, ultimately, the Risk Tolerance to be used for both internal decision making and external communication. The establishment of a Risk Committee as part of the board of directors is now widely viewed as the proper authority responsible for reviewing enterprise-level Risk Tolerance levels.
Rating agencies and other interested parties look for management to be able to link significant changes in its Risk Profile with corresponding changes to the company's Risk Appetite or Risk Tolerances. Continuing the prior example, assume RT Co. announced its intention to aggressively grow its property business in the Southeastern United States. Rating agencies would want to know how the implications on its risk profile (i.e., increased catastrophe exposed business) impacted the company's stated risk appetite or risk tolerance. For example, if RT Co. did not change its risk appetite, a rating agency would expect the company to defend its reinsurance purchasing strategy in light of the increased catastrophe risk. A critical best practice in this area is to ensure that these top-level risk management decisions are integrated into the operational framework throughout the firm. The following are examples of such linkage and operational concepts:
- Enterprise-level monitoring and evaluation of risk-taking and risk mitigation strategies through economic or risk-based capital measures, in which all significant risks are identified, measured, and managed (including stress testing)
- Operational integration and communication by management of risk tolerance to influence operational decisions, for example, through underwriting guidelines, zonal aggregates, and pricing discipline
- Use of risk mitigation strategies when risk exceeds risk tolerance limits or could impair reputation
Risk Tolerane as Part of a Risk Hedging and Reinsurance Strategy
Since companies compare the cost of alternative reinsurance structures with the associated benefits, as measured by the relative impact on their Risk Tolerance boundaries, understanding a company's Risk Appetite and Risk Tolerance is a strategic imperative. The frequency with which insurance and reinsurance companies will have conversations with their constituents (e.g., rating agencies, regulators, and boards of directors) on this topic will increase dramatically in the coming months. A deep conceptual understanding, as firms shape their risk tolerances, is critical to achieving successful outcomes. As indicated, there is not a one-size-fits-all risk tolerance statement, and most companies use several implicit or explicit risk tolerance boundaries. The table below shows examples of risk tolerance areas directly impacted by reinsurance.
Survey of Publicly Disclosed Information on Risk Tolerance
Guy Carpenter undertook a project to study the ERM structure and risk tolerances of firms within the industry. The study was comprised of publicly available information, including annual reports, regulatory filings, and analyst and rating agency reports. It identified information from 12 companies domiciled in Europe, six in the United States, nine in Bermuda, and eight in the Asia-Pacific region. These companies are mainly publicly traded and have large global operations.
The overall observation is that the public disclosure of companies' risk tolerances is limited. Based on our review, though, the following general observations and trends were identified:
- Of the 35 companies in the study, all disclose some form of consideration of Risk Tolerance at the enterprise or risk segment level (such as market/asset, credit, or insurance risk).
- Firms generally disclosed the method for measurement, but not the amount or level. Metrics used for measurement varied based on the risk being measured. Some insurers used more than one metric. Examples of disclosure of method and corresponding level varied widely.
- The most prevalent disclosed Risk Tolerance methods were Value at Risk (VaR) and stress testing.
- Disclosures related to market/asset risk (measured with some form of VaR, max loss, or percent impairment threshold) were found most commonly in our survey.
- European companies tend to disclose more information about their ERM "structure" characteristics -- such as having a Chief Risk Officer (CRO), reporting relationships, a risk committee, or reporting lines into the board - than companies in other regions, with Bermuda and Asia-Pacific companies disclosing the least about their ERM structural elements. We believe that the low disclosure identified in the survey in some regions does not suggest that the firms do not have the roles noted. Rather, it highlights that the firms included in the study do not disclose the structural element if they exist.[table]
- Very few companies offer an opinion or position regarding excess capital, although some reference commentary on management activity, such as share buybacks, that is indicative of an opinion relative to excess capital.
- The disclosure of capital allocation and modeling method appears most often in Europe, with no apparent distinction between insurance and reinsurance companies. Combined operations (i.e., those that include both insurance and reinsurance within the corporate operating structure) appear to provide more details in their disclosure/description of modeling methods. Examples of methods, as stated, include:
- Mix of risk-based capital models and scenario testing, sometimes include the International Monetary Fund (IMF) stress tests
- Economic-based capital modeling
- Risk-based capital modeling, such as for the UK Financial Services Authority (FSA)
Anticipated Change -- Increased Scrutiny of Risk Appetite and Risk Tolerance
We anticipate that there will be considerable momentum, growing at an ever accelerating pace, as regulatory, capital markets, and legislative influences around the world join to require management recognition of the risks of their enterprises.
Despite the fact that publicly disclosed information is so limited, the increasing external demands will be coupled with management recognition of potential competitive advantages. We anticipate significantly increased transparency with regard to the Risk Profile, Risk Appetite, and Risk Tolerance by firms in the industry. We intend to continue to monitor disclosure trends and update the Risk Tolerance Benchmarking Study as this broader base of information becomes available.
## Data records, as found in the file
'''
[1]
Entry from the Open Molecules 2025 dataset: an isolated ion of composition CH5N2S2 and charge +1 in a non-equilibrium geometry (ωB97M-V/def2-TZVPD).

Summary:
- lowest unoccupied orbital energy (hartree) = -0.1535
- E_HOMO (eV) = -14.45
- electronic energy (eV) = -25762.0817
- net charge = +1
- 2S+1 = 1
- gap between HOMO and LUMO (eV) = 10.28
- ΔE to the lowest compared entry with this formula, charge and spin (kcal per mole) = 7.3
- structure (SMILES) = NC(=[NH2+])SS

Element x y z (Å)
S (-2.17754, -2.28402, 0.82567)
S (-1.72829, -0.21158, 0.72044)
N (-0.00733, 1.52468, 0.21003)
N (1.02035, -0.58009, -0.00842)
C (0.00111, 0.21486, 0.25338)
H (0.75777, -1.52492, -0.23670)
H (0.82842, 2.01520, 0.50023)
H (-2.69601, -2.50850, -0.38598)
H (1.85878, -0.14240, -0.40697)
H (-0.87534, 2.04679, 0.21699)

Forces on atoms 1 to 6 (eV/Å):
0.90 1.10 0.22
0.56 -1.40 -0.31
1.38 0.81 0.29
-0.53 1.26 0.03
-2.54 -1.17 -0.12
0.46 -0.42 0.19

=====

[2]
Entry from the Open Molecules 2025 dataset: C4H10N2O as an isolated structure in a non-equilibrium geometry (ωB97M-V/def2-TZVPD).

Summary:
- lowest unoccupied orbital energy (hartree) = 0.0110
- E_HOMO (eV) = -7.95
- electronic energy (eV) = -9334.2181
- net charge = 0
- 2S+1 = 1
- gap between HOMO and LUMO (eV) = 8.25
- ΔE to the lowest compared entry with this formula, charge and spin (kcal per mole) = 110.0

Element x y z (Å)
O (1.06172, 1.07463, 0.93685)
N (0.31126, -1.13191, 0.86396)
N (-1.64463, -1.56248, -0.88403)
C (-1.75442, -0.33132, -1.26822)
C (0.82337, 0.25076, -1.34418)
C (0.96006, 1.07782, 2.36344)
C (0.72846, -0.09638, 0.36047)
H (-1.73297, 0.42623, -0.49693)
H (1.90954, 0.35856, -1.29301)
H (-1.75389, -2.26116, -1.61320)
H (-0.65637, -1.64785, 0.10139)
H (-0.07513, 0.91718, 2.67401)
H (-2.20418, -0.04034, -2.21560)
H (0.47227, 1.23012, -1.66513)
H (1.30305, 2.05919, 2.68316)
H (1.57905, 0.28509, 2.78749)
H (0.67282, -0.60816, -1.99047)

Forces on atoms 1 to 6 (eV/Å):
0.71 0.13 0.54
-2.19 -1.66 -0.24
0.32 1.45 -0.51
-1.83 -1.77 0.93
1.80 -0.38 3.02
0.05 -0.07 -0.03

=====

[3]
Entry from the Open Molecules 2025 dataset: C5H13N as an isolated structure (ωB97M-V/def2-TZVPD).

Summary:
- lowest unoccupied orbital energy (hartree) = 0.0412
- E_HOMO (eV) = -7.72
- electronic energy (eV) = -6882.8432
- net charge = 0
- 2S+1 = 1
- gap between HOMO and LUMO (eV) = 8.84
'''
## Here the text continues
- Contributors:
- Susan Witcraft, Managing Director, Minneapolis +1 952.832.2143
- Frank Achtert, Managing Director, Munich +49
- Iain Boyer, Managing Director, Norwalk +1 203.229.8807
- Michelle Harnick, Managing Director, New York +1 917.937.3125
- Dave Lightfoot, Managing Director, Seattle +1 206.621.2929
- Scott Lohman, Managing Director, Seattle +1 206.621.2929
- Don Mango, Managing Director, Morristown +1 973.285.7914
- Eddy Vanbeneden, Managing Director, Brussels +32 2.674.98.11
- Gina Carlson, Senior Vice President, Minneapolis +1 952.832.2224
- Debbie Griffin, Senior Vice President, New York +1 917.937.3119
- David Flandro, Senior Vice President, London +44 (0)20 7357 3267
- Jeff Bellmont, Vice President, Minneapolis +1 952.832.2157
- Sebastien Portman, Vice President, Zurich +41 44.285.9322
- Benoit Butel, Vice President, Paris +33
Statements concerning, tax, accounting, legal or regulatory matters should be understood to be general observations based solely on our experience as reinsurance brokers and risk consultants, and may not be relied upon as tax, accounting, legal or regulatory advice which we are not authorized to provide. To the extent that you discuss such statements with your clients, be sure to advise your clients that all such matters should be reviewed with their own qualified advisors in these areas.